Work order >
Could you repeat the part of the contents underneath that starts with the line with "0.161 0.322" and stops after the one with "0.000 Sc"?

Excerpt >
........
(1)
Computed, not measured: an optimized crystal structure of TiOs at the PBE level of DFT.

POSCAR file:
```
TiOs
1.0
-7.077 -1.603 2.144
5.857 -2.879 3.829
0.003 3.349 2.513
Ti Os
6 6
Direct
0.839 0.678 0.250 Ti
0.161 0.839 0.750 Ti
0.322 0.161 0.250 Ti
0.161 0.322 0.750 Ti
0.839 0.161 0.250 Ti
0.678 0.839 0.750 Ti
0.447 0.893 0.250 Os
0.553 0.447 0.750 Os
0.107 0.553 0.250 Os
0.553 0.107 0.750 Os
0.447 0.553 0.250 Os
0.893 0.447 0.750 Os
```

**Density of states at the Fermi level**: 14.92 states/eV/cell
**E_form**: 0.018 eV per atom

=====

(2)
Computed, not measured: an optimized crystal structure of PmScRuO6 at the PBE level of DFT.

POSCAR file:
```
PmScRuO6
1.0
5.498 0.000 0.000
-2.749 4.762 0.000
0.000 0.000 8.798
Pm Sc Ru O
2 2 2 12
Direct
0.333 0.667 0.250 Pm
0.667 0.333 0.750 Pm
0.000 0.000 0.000 Sc
0.000 0.000 0.500 Sc
0.667 0.333 0.250 Ru
0.333 0.667 0.750 Ru
0.695 0.639 0.125 O
0.944 0.305 0.125 O
0.305 0.944 0.625 O
0.056 0.695 0.875 O
0.361 0.305 0.375 O
0.944 0.639 0.375 O
0.639 0.944 0.875 O
0.695 0.056 0.375 O
0.056 0.361 0.625 O
0.361 0.056 0.125 O
0.639 0.695 0.625 O
0.305 0.361 0.875 O
```

**Raw formation energy**: -19.367 eV/f.u.
**Density of states at the Fermi level**: 8.51 states/eV/cell

=====

(3)
Computed, not measured: an optimized crystal structure of La4Pr3Hg at the PBE level of DFT.

POSCAR file:
```
La4Pr3Hg
1.0
-2.970 -1.387 -1.887
2.301 -2.299 -1.930
-2.280 -13.829 13.754
Pr Hg La
3 1 4
Direct
0.500 0.500 0.237 Pr
0.500 0.500 0.500 Pr
0.500 0.500 0.763 Pr
0.500 0.500 0.000 Hg
0.000 0.000 0.896 La
0.000 0.000 0.104 La
0.000 0.000 0.368 La
0.000 0.000 0.632 La
```

**Density of states at the Fermi level**: 12.98 states/eV/cell
**E_form**: -0.113 eV per atom
........

Done >
0.161 0.322 0.750 Ti
0.839 0.161 0.250 Ti
0.678 0.839 0.750 Ti
0.447 0.893 0.250 Os
0.553 0.447 0.750 Os
0.107 0.553 0.250 Os
0.553 0.107 0.750 Os
0.447 0.553 0.250 Os
0.893 0.447 0.750 Os
```

**Density of states at the Fermi level**: 14.92 states/eV/cell
**E_form**: 0.018 eV per atom

=====

(2)
Computed, not measured: an optimized crystal structure of PmScRuO6 at the PBE level of DFT.

POSCAR file:
```
PmScRuO6
1.0
5.498 0.000 0.000
-2.749 4.762 0.000
0.000 0.000 8.798
Pm Sc Ru O
2 2 2 12
Direct
0.333 0.667 0.250 Pm
0.667 0.333 0.750 Pm
0.000 0.000 0.000 Sc